TACFIT Warrior Manual By Scott Sonnon – eBook PDF Program Review And Download

TACFIT Warrior Manual By Scott Sonnon - eBook PDF ProgramBodyweight exercises is one thing everyone who want to be fit may struggle with. For some, they prefer the relaxing effect of yoga while others would like the rush that came with running or swimming and whatnot.

However, it is a known fact that out of all the exercises you might try, high intensity interval training and bodyweight exercises are the way to go in losing weight and getting a toned body.

I have never really been a fan of bodyweight exercises as I feel as if it tires me easily. Cardio has always been the way to go for me as I think it is the most effective and does not even cost a dime (running is free unless you count your running shoes!)

Data records, as found in the file >
+++
For HfS4I2Cl4, the GGA-PBE geometry in OQMD gives the computed X-ray diffraction stick pattern in this record (copper Kα).
Peak positions follow from Bragg's law for the DFT cell and can differ from measured ones.

Main lines, in order of rising 2θ (10 to 90 degrees two-theta):
(hkl), d [Å], intensity
1 0 0, 6.301, 100
0 1 1, 6.150, 47
1 1 1, 5.483, 35
1 0 -1, 5.301, 51
1 0 1, 4.171, 47
0 1 2, 3.916, 61
1 2 0, 3.366, 43
2 2 0, 3.085, 45
2 0 1, 2.635, 40
2 1 -2, 2.466, 47

Cell and atoms:
a = 7.434 Å, b = 7.575 Å, c = 7.890 Å
α = 63.20°, β = 87.90°, γ = 60.72°
Positions (direct):
Hf1 0.000 0.000 0.000
S1 0.325 0.099 0.343
S2 0.392 0.226 0.491
S3 0.608 0.774 0.509
S4 0.675 0.901 0.657
I1 0.062 0.390 0.797
I2 0.938 0.610 0.203
Cl1 0.145 0.869 0.773
Cl2 0.359 0.770 0.204
Cl3 0.641 0.230 0.796
Cl4 0.855 0.131 0.227

~~~~~

[1]
Structure and calculated powder diffraction line list of Li2MnF6 (a PBE+U-relaxed structure; Cu Kα, 1.54184 Å).

Most intense lines, 2θ = 10–90°, most intense first:
d_spacing, Position (°2θ), Rel. int., index
4.136, 21.5, 100, 1 0 1
2.210, 40.8, 49, 1 1 3
3.300, 27.0, 48, 1 1 0
4.462, 19.9, 35, 0 0 2
1.709, 53.6, 34, 2 1 3
2.653, 33.8, 20, 1 1 2
1.379, 68.0, 19, 3 0 3
1.650, 55.7, 16, 2 2 0
2.087, 43.3, 16, 2 1 0
2.032, 44.6, 15, 2 1 1

Atomic structure:
```
data_Li2MnF6
_chemical_formula_sum 'Li4 Mn2 F12'
_space_group_name_H-M_alt 'P 42/m n m'
_space_group_IT_number 136
_space_group_name_Hall '-P 4n 2n'
_cell_length_a 4.667
_cell_length_b 4.667
_cell_length_c 8.924
_cell_angle_alpha 90.00
_cell_angle_beta 90.00
_cell_angle_gamma 90.00
loop_
_atom_site_label
_atom_site_type_symbol
_atom_site_fract_x
_atom_site_fract_y
_atom_site_fract_z
Li1 Li 0.000 0.000 0.163
Mn1 Mn 0.000 0.000 0.500
F1 F 0.190 0.190 0.348
F2 F 0.220 0.220 0.000
```

=====

[2]
Structure and calculated powder diffraction line list of SmEuFeSnO6 (a PBE+U-relaxed structure; Cu Kα, 1.54184 Å).

Most intense lines, 2θ = 10–90°, most intense first:
d_spacing, Position (°2θ), Rel. int., index
2.839, 31.5, 100, 2 2 0
1.639, 56.1, 40, 4 2 2
2.007, 45.2, 30, 4 0 0
1.420, 65.8, 19, 4 4 0
1.270, 74.8, 17, 6 2 0
2.318, 38.8, 9, 2 2 2
1.159, 83.4, 6, 4 4 4
4.015, 22.1, 4, 2 0 0
4.636, 19.1, 4, 1 1 1
2.421, 37.1, 3, 3 1 1

Atomic structure:
```
data_SmEuFeSnO6
_chemical_formula_sum 'Sm4 Eu4 Fe4 Sn4 O24'
_space_group_name_H-M_alt 'F -4 3 m'
_space_group_IT_number 216
_space_group_name_Hall 'F -4 2 3'
_cell_length_a 8.030
_cell_length_b 8.030
_cell_length_c 8.030
_cell_angle_alpha 90.00
_cell_angle_beta 90.00
_cell_angle_gamma 90.00
loop_
_atom_site_label
_atom_site_type_symbol
_atom_site_fract_x
_atom_site_fract_y
_atom_site_fract_z
Sm1 Sm 0.000 0.000 0.000
Eu1 Eu 0.000 0.000 0.500
Fe1 Fe 0.250 0.250 0.750
Sn1 Sn 0.250 0.250 0.250
O1 O 0.003 0.250 0.750
```

~~~~~

Diffraction record for La2GaSiGe. The powder diffractogram is theoretical, not measured: it uses a DFT-relaxed cell (PBE, Alexandria) and Cu Kα (weighted mean of Kα1 and Kα2).
Lines closer than 0.1° are merged.
+++

With this, I did not really keep an open mind the first time I found out about Tacfit Warrior. Yes, it might work for someone else, but at that time, I was closed to the idea that it will never work for me. Besides, I already have the perfect workout routine for myself. Why try to change it? I skimmed through the site and found myself growing curious about the program. Halfway through it, I thought “Why not?”. Besides, sticking too much to your regular training will eventually get tiring and monotonous.

In time, I was able to notice amazing changes in my body. I found that I am getting stronger and the muscles that were not there before now exist! I have never felt this fit before and I am so glad I opened my mind to trying a new workout.

Weighing scales is not a nightmare for me anymore as I found out that I have been losing pounds and I am now closer to my goals more than ever. Bodyweight exercises are not something I shy away from any longer and I actually quite enjoy them.

The program was also able to give detailed instructions to make sure I won’t strain myself and that I am doing the right thing. One of the great things about the program is the fact that they adjust to your level. So if you are a noob in these sort of workouts then there is nothing to fear.

To end this review, yes I will recommend this to my friends and anyone who is looking into trying to get fit.

Click Here To Visit The Official Website To Download And Access TACFIT Warrior Manual By Scott Sonnon

Brutal Fight Enders By Bob Pierce – eBook PDF Program Review And Download

Brutal Fight Enders By Bob Pierce - eBook PDF ProgramWant to enhance your fighting skill but no time to enroll yourself in month-long—or even year-long—programs? This is the perfect book to teach you all the moves you need to learn to boost your self-confidence and protect yourself and your loved ones from any unexpected brawl. This is even more perfect for those who want to hone their combat fighting skills!

Bob Pierce’s expertise and professionalism in fighting is truly evident in the fighting techniques he included here. In fact, he have gone through many expert trainings for the past 20 years! This is actually what made this program pretty interesting and convincing enough for everyone who stumbles upon it. No question how effective it turned out for those who gave it a shot. Anyone will feel lucky by reading this book because, indeed, it is more than worth the price you paid.

Bob’s teaching style is as awesome as the moves. He is always straight to the point but at the same time, he is never boring. His instructions makes every move sound effortless as if it is already part of the normal moves he does every day. His strong-will is contagious that it would strongly encourage you to do your best and to grow into that kind of person he wishes you to be.

The moves taught in this book is applicable whether you’re a man or a woman. They are simple and easy to learn as long as you keep your focus and strong determination. It includes simple yet incredible moves like the “knuckle blow”; “upside-down handshake”; “human pliers”; and “underhand lace.”

All these killer moves are tricky yet they can really help in protecting yourself even in the most dangerous situations. Plus, it will not be obvious to your opponent what move you will do. The best part of this program is that Bob also teaches to renew one’s outlook. If you will try to follow each of his instruction keenly, you can never go back to that typical mindset. He will inspire and transform you into someone full of self-confidence, brave, and skilled.

Click Here To Visit The Official Website To Download And Access Brutal Fight Enders By Bob Pierce